**Given**
+++
This entry pairs a crystal structure of Ba3SnP3 with its computed powder X-ray diffraction pattern. Radiation: λ = 1.5418 Å (Cu Kα). Structure: the PBE geometry in Alexandria.
Lines closer than 0.1° are merged.

Cell and atoms:
abc: 13.515 4.852 13.970
angles: 90.00 90.00 90.00
Space group Pnma (No. 62)
One atom of each set of equivalent atoms:
Ba 0.079 0.250 0.107
Ba 0.135 0.750 0.499
Ba 0.218 0.750 0.800
Sn 0.046 0.250 0.696
P 0.034 0.250 0.342
P 0.085 0.250 0.880
P 0.230 0.250 0.627

Peak list (10 most intense, 2θ = 10–90°, by intensity)
two_theta  d/Å  I/Imax  (hkl)
32.3  2.773  100  4 1 0
27.4  3.261  95  1 1 3
23.2  3.826  89  1 1 2
23.5  3.790  85  3 0 2
27.8  3.213  82  3 1 1
37.1  2.426  79  0 2 0
34.3  2.614  77  2 1 4
32.7  2.736  65  1 0 5
29.7  3.008  63  2 1 3
27.5  3.238  57  3 0 3

----------

Diffraction record for BePb2F6. The PXRD pattern is theoretical, not measured: it uses a structure optimized by DFT (PBE) and CuKα.
Neutral-atom scattering factors, no anomalous dispersion.

The 10 most intense peaks (2θ = 10–90°), low angle first:
Position (°2θ), d_spacing, I/Imax
20.5, 4.333, 100
22.9, 3.889, 52
23.6, 3.772, 58
24.5, 3.639, 42
27.8, 3.214, 74
30.2, 2.960, 42
32.7, 2.743, 27
32.8, 2.734, 25
42.9, 2.108, 37
44.1, 2.052, 30

Structural model:
Unit cell a=5.4940 b=7.1052 c=8.9193 alpha=90.00 beta=122.25 gamma=90.00
Element x y z (fractional)
Be 0.0000 0.1560 0.0000
Be 0.0000 0.8440 0.5000
Pb 0.2954 0.1673 0.7681
Pb 0.2954 0.8327 0.2681
Pb 0.7157 0.3811 0.2699
Pb 0.7157 0.6189 0.7699
F 0.0283 0.2365 0.1688
F 0.0283 0.7635 0.6688
F 0.1563 0.3837 0.5455
F 0.1563 0.6163 0.0455
F 0.3150 0.0934 0.0557
F 0.3150 0.9066 0.5557
F 0.5295 0.4359 0.9327
F 0.5295 0.5641 0.4327
F 0.7989 0.0226 0.4410
F 0.7989 0.9774 0.9410
F 0.8855 0.2798 0.8258
F 0.8855 0.7202 0.3258

---

Diffraction record for La5Y8Tm. The PXRD pattern is theoretical, not measured: it uses a structure optimized by DFT (PBE) and CuKα.
Neutral-atom scattering factors, no anomalous dispersion.

The 10 most intense peaks (2θ = 10–90°), low angle first:
Position (°2θ), d_spacing, I/Imax
28.0, 3.187, 50
28.2, 3.168, 98
28.5, 3.128, 39
29.7, 3.011, 50
29.8, 2.995, 100
31.8, 2.816, 47
32.4, 2.763, 38
32.7, 2.739, 64
33.2, 2.702, 36
34.7, 2.584, 68

Structural model:
Unit cell a=8.1646 b=8.1646 c=9.5158 alpha=119.49 beta=119.49 gamma=76.29
Element x y z (fractional)
La 0.0000 0.0000 0.0000
La 0.1864 0.3887 0.6544
La 0.4709 0.3310 0.1009
La 0.6113 0.8136 0.3456
La 0.6690 0.5291 0.8991
Y 0.1326 0.6361 0.0708
Y 0.3639 0.8674 0.9292
Y 0.4107 0.2427 0.3930
Y 0.5744 0.0710 0.7663
Y 0.7573 0.5893 0.6070
Y 0.8386 0.0279 0.2680
Y 0.9290 0.4256 0.2337
Y 0.9721 0.1614 0.7320
Tm 0.2420 0.7580 0.5000

---

Diffraction record for TbTc6B4. The PXRD pattern is theoretical, not measured: it uses a structure optimized by DFT (PBE) and CuKα.
Neutral-atom scattering factors, no anomalous dispersion.

The 10 most intense peaks (2θ = 10–90°), low angle first:
Position (°2θ), d_spacing, I/Imax
18.9, 4.692, 17
36.0, 2.498, 14
37.0, 2.428, 46
38.4, 2.346, 100
43.4, 2.086, 19
45.2, 2.006, 27
48.6, 1.875, 16
64.4, 1.446, 16
69.2, 1.358, 13
78.8, 1.214, 10

Structural model:
Unit cell a=5.7886 b=5.7886 c=5.7886 alpha=121.30 beta=121.30 gamma=87.77
Element x y z (fractional)
Tb 0.0000 0.0000 0.0000
Tc 0.0000 0.5000 0.5000
Tc 0.0841 0.0841 0.6121
Tc 0.4720 0.4720 0.3879
Tc 0.5000 0.0000 0.5000
Tc 0.5280 0.9159 0.0000
Tc 0.9159 0.5280 0.0000
B 0.2983 0.5760 0.0000
B 0.4240 0.4240 0.7223
B 0.5760 0.2983 0.0000
B 0.7017 0.7017 0.2777

---

Diffraction record for Ac2NpCr2N6. The PXRD pattern is theoretical, not measured: it uses a structure optimized by DFT (PBE) and CuKα.
Neutral-atom scattering factors, no anomalous dispersion.

The 10 most intense peaks (2θ = 10–90°), low angle first:
Position (°2θ), d_spacing, I/Imax
18.0, 4.920, 24
27.7, 3.216, 64
30.0, 2.977, 100
32.3, 2.775, 53
41.3, 2.185, 32
44.6, 2.030, 22
51.9, 1.761, 24
53.3, 1.719, 21
54.7, 1.677, 25
59.3, 1.558, 31
+++

**Request**
The reader should transcribe all of the listing above unchanged.

**Response**
This entry pairs a crystal structure of Ba3SnP3 with its computed powder X-ray diffraction pattern. Radiation: λ = 1.5418 Å (Cu Kα). Structure: the PBE geometry in Alexandria.
Lines closer than 0.1° are merged.

Cell and atoms:
abc: 13.515 4.852 13.970
angles: 90.00 90.00 90.00
Space group Pnma (No. 62)
One atom of each set of equivalent atoms:
Ba 0.079 0.250 0.107
Ba 0.135 0.750 0.499
Ba 0.218 0.750 0.800
Sn 0.046 0.250 0.696
P 0.034 0.250 0.342
P 0.085 0.250 0.880
P 0.230 0.250 0.627

Peak list (10 most intense, 2θ = 10–90°, by intensity)
two_theta  d/Å  I/Imax  (hkl)
32.3  2.773  100  4 1 0
27.4  3.261  95  1 1 3
23.2  3.826  89  1 1 2
23.5  3.790  85  3 0 2
27.8  3.213  82  3 1 1
37.1  2.426  79  0 2 0
34.3  2.614  77  2 1 4
32.7  2.736  65  1 0 5
29.7  3.008  63  2 1 3
27.5  3.238  57  3 0 3

----------

Diffraction record for BePb2F6. The PXRD pattern is theoretical, not measured: it uses a structure optimized by DFT (PBE) and CuKα.
Neutral-atom scattering factors, no anomalous dispersion.

The 10 most intense peaks (2θ = 10–90°), low angle first:
Position (°2θ), d_spacing, I/Imax
20.5, 4.333, 100
22.9, 3.889, 52
23.6, 3.772, 58
24.5, 3.639, 42
27.8, 3.214, 74
30.2, 2.960, 42
32.7, 2.743, 27
32.8, 2.734, 25
42.9, 2.108, 37
44.1, 2.052, 30

Structural model:
Unit cell a=5.4940 b=7.1052 c=8.9193 alpha=90.00 beta=122.25 gamma=90.00
Element x y z (fractional)
Be 0.0000 0.1560 0.0000
Be 0.0000 0.8440 0.5000
Pb 0.2954 0.1673 0.7681
Pb 0.2954 0.8327 0.2681
Pb 0.7157 0.3811 0.2699
Pb 0.7157 0.6189 0.7699
F 0.0283 0.2365 0.1688
F 0.0283 0.7635 0.6688
F 0.1563 0.3837 0.5455
F 0.1563 0.6163 0.0455
F 0.3150 0.0934 0.0557
F 0.3150 0.9066 0.5557
F 0.5295 0.4359 0.9327
F 0.5295 0.5641 0.4327
F 0.7989 0.0226 0.4410
F 0.7989 0.9774 0.9410
F 0.8855 0.2798 0.8258
F 0.8855 0.7202 0.3258

---

Diffraction record for La5Y8Tm. The PXRD pattern is theoretical, not measured: it uses a structure optimized by DFT (PBE) and CuKα.
Neutral-atom scattering factors, no anomalous dispersion.

The 10 most intense peaks (2θ = 10–90°), low angle first:
Position (°2θ), d_spacing, I/Imax
28.0, 3.187, 50
28.2, 3.168, 98
28.5, 3.128, 39
29.7, 3.011, 50
29.8, 2.995, 100
31.8, 2.816, 47
32.4, 2.763, 38
32.7, 2.739, 64
33.2, 2.702, 36
34.7, 2.584, 68

Structural model:
Unit cell a=8.1646 b=8.1646 c=9.5158 alpha=119.49 beta=119.49 gamma=76.29
Element x y z (fractional)
La 0.0000 0.0000 0.0000
La 0.1864 0.3887 0.6544
La 0.4709 0.3310 0.1009
La 0.6113 0.8136 0.3456
La 0.6690 0.5291 0.8991
Y 0.1326 0.6361 0.0708
Y 0.3639 0.8674 0.9292
Y 0.4107 0.2427 0.3930
Y 0.5744 0.0710 0.7663
Y 0.7573 0.5893 0.6070
Y 0.8386 0.0279 0.2680
Y 0.9290 0.4256 0.2337
Y 0.9721 0.1614 0.7320
Tm 0.2420 0.7580 0.5000

---

Diffraction record for TbTc6B4. The PXRD pattern is theoretical, not measured: it uses a structure optimized by DFT (PBE) and CuKα.
Neutral-atom scattering factors, no anomalous dispersion.

The 10 most intense peaks (2θ = 10–90°), low angle first:
Position (°2θ), d_spacing, I/Imax
18.9, 4.692, 17
36.0, 2.498, 14
37.0, 2.428, 46
38.4, 2.346, 100
43.4, 2.086, 19
45.2, 2.006, 27
48.6, 1.875, 16
64.4, 1.446, 16
69.2, 1.358, 13
78.8, 1.214, 10

Structural model:
Unit cell a=5.7886 b=5.7886 c=5.7886 alpha=121.30 beta=121.30 gamma=87.77
Element x y z (fractional)
Tb 0.0000 0.0000 0.0000
Tc 0.0000 0.5000 0.5000
Tc 0.0841 0.0841 0.6121
Tc 0.4720 0.4720 0.3879
Tc 0.5000 0.0000 0.5000
Tc 0.5280 0.9159 0.0000
Tc 0.9159 0.5280 0.0000
B 0.2983 0.5760 0.0000
B 0.4240 0.4240 0.7223
B 0.5760 0.2983 0.0000
B 0.7017 0.7017 0.2777

---

Diffraction record for Ac2NpCr2N6. The PXRD pattern is theoretical, not measured: it uses a structure optimized by DFT (PBE) and CuKα.
Neutral-atom scattering factors, no anomalous dispersion.

The 10 most intense peaks (2θ = 10–90°), low angle first:
Position (°2θ), d_spacing, I/Imax
18.0, 4.920, 24
27.7, 3.216, 64
30.0, 2.977, 100
32.3, 2.775, 53
41.3, 2.185, 32
44.6, 2.030, 22
51.9, 1.761, 24
53.3, 1.719, 21
54.7, 1.677, 25
59.3, 1.558, 31